• Brief:
What is needed: start at the top of the notes further below and type out each line, ending with the one that has "13.221".

• Excerpt:
=====
(1)
12
Lattice="6.284 0.000 0.000 -3.142 5.442 0.000 0.000 0.000 6.945" Properties=species:S:1:pos:R:3 comment="KNp2TlO8 PBE relaxed" total_energy_ev_per_atom=-7.73 pbc="T T T"
K 0.000 0.000 0.000
Np 0.000 3.628 3.140
Np 3.142 1.814 3.805
Tl 0.000 0.000 3.473
O -0.842 2.200 4.352
O 0.000 3.628 1.292
O -0.816 5.072 4.352
O 1.484 1.829 2.593
O 1.658 3.613 4.352
O 3.958 0.371 2.593
O 3.142 1.814 5.653
O 3.984 3.243 2.593

(2)
12
Lattice="2.800 0.000 0.000 -1.400 2.425 0.000 0.000 0.000 23.635" Properties=species:S:1:pos:R:3 comment="MgBeRu2 PBE relaxed" dos_ef_per_ev_cell=8.15 ef_ev_per_atom=0.046 pbc="T T T"
Mg 0.000 0.000 0.000
Mg 0.000 1.617 15.757
Mg 1.400 0.808 7.878
Be 0.000 0.000 11.818
Be 0.000 1.617 3.939
Be 1.400 0.808 19.696
Ru 0.000 0.000 5.645
Ru 0.000 0.000 17.990
Ru 0.000 1.617 10.112
Ru 0.000 1.617 21.402
Ru 1.400 0.808 2.233
Ru 1.400 0.808 13.523

(3)
14
Lattice="11.977 0.000 0.000 0.000 3.444 0.000 -2.685 0.000 5.233" Properties=species:S:1:pos:R:3 comment="TbY2O4 PBE relaxed" total_energy_ev_per_atom=-8.53 dos_ef_per_ev_cell=4.12 pbc="T T T"
Tb 0.000 0.000 0.000
Tb 5.988 1.722 0.000
Y 0.548 1.722 3.680
Y 2.755 0.000 1.553
Y 6.537 0.000 3.680
Y 8.743 1.722 1.553
O 0.448 0.000 2.245
O 1.689 1.722 0.104
O 1.614 0.000 5.129
O 2.855 1.722 2.988
O 6.436 1.722 2.245
O 7.678 0.000 0.104
O 7.602 1.722 5.129
O 8.844 0.000 2.988

(4)
12
Lattice="3.427 0.000 0.000 -1.714 2.968 0.000 0.000 0.000 30.380" Properties=species:S:1:pos:R:3 comment="TmPu2Si PBE relaxed" total_energy_ev_per_atom=-9.56 dos_ef_per_ev_cell=41.04 pbc="T T T"
Tm 0.000 0.000 0.000
Tm 0.000 1.979 20.254
Tm 1.714 0.989 10.127
Pu 0.000 0.000 7.163
Pu 0.000 0.000 23.217
Pu 0.000 1.979 13.091
Pu 0.000 1.979 27.417
Pu 1.714 0.989 2.964
Pu 1.714 0.989 17.290
Si 0.000 0.000 15.190
Si 0.000 1.979 5.063
Si 1.714 0.989 25.317

(5)
5
Lattice="3.774 0.000 0.000 0.000 3.774 0.000 0.000 0.000 3.774" Properties=species:S:1:pos:R:3 comment="MnHgN3 PBE relaxed" total_energy_ev_per_atom=-5.62 dos_ef_per_ev_cell=6.25 pbc="T T T"
Mn 0.000 0.000 0.000
Hg 1.887 1.887 1.887
N 0.000 0.000 1.887
N 0.000 1.887 0.000
N 1.887 0.000 0.000

(6)
10
Lattice="3.982 0.000 0.000 0.000 3.982 0.000 0.000 0.000 14.538" Properties=species:S:1:pos:R:3 comment="DyPaCSe2 PBE relaxed" total_energy_ev_per_atom=-7.32 dos_ef_per_ev_cell=5.10 pbc="T T T"
Dy 0.995 0.995 1.778
Dy 2.986 2.986 12.760
Pa 0.995 0.995 8.448
Pa 2.986 2.986 6.090
C 0.995 2.986 7.269
C 2.986 0.995 7.269
Se 0.995 0.995 4.476
Se 0.995 0.995 13.221
Se 2.986 2.986 1.317
Se 2.986 2.986 10.062

What are the theoretical density values for these records? In order: 5.91 7.31 6.17 11.04 9.19 8.12 Mg/m³.
=====

• Completed:
(1)
12
Lattice="6.284 0.000 0.000 -3.142 5.442 0.000 0.000 0.000 6.945" Properties=species:S:1:pos:R:3 comment="KNp2TlO8 PBE relaxed" total_energy_ev_per_atom=-7.73 pbc="T T T"
K 0.000 0.000 0.000
Np 0.000 3.628 3.140
Np 3.142 1.814 3.805
Tl 0.000 0.000 3.473
O -0.842 2.200 4.352
O 0.000 3.628 1.292
O -0.816 5.072 4.352
O 1.484 1.829 2.593
O 1.658 3.613 4.352
O 3.958 0.371 2.593
O 3.142 1.814 5.653
O 3.984 3.243 2.593

(2)
12
Lattice="2.800 0.000 0.000 -1.400 2.425 0.000 0.000 0.000 23.635" Properties=species:S:1:pos:R:3 comment="MgBeRu2 PBE relaxed" dos_ef_per_ev_cell=8.15 ef_ev_per_atom=0.046 pbc="T T T"
Mg 0.000 0.000 0.000
Mg 0.000 1.617 15.757
Mg 1.400 0.808 7.878
Be 0.000 0.000 11.818
Be 0.000 1.617 3.939
Be 1.400 0.808 19.696
Ru 0.000 0.000 5.645
Ru 0.000 0.000 17.990
Ru 0.000 1.617 10.112
Ru 0.000 1.617 21.402
Ru 1.400 0.808 2.233
Ru 1.400 0.808 13.523

(3)
14
Lattice="11.977 0.000 0.000 0.000 3.444 0.000 -2.685 0.000 5.233" Properties=species:S:1:pos:R:3 comment="TbY2O4 PBE relaxed" total_energy_ev_per_atom=-8.53 dos_ef_per_ev_cell=4.12 pbc="T T T"
Tb 0.000 0.000 0.000
Tb 5.988 1.722 0.000
Y 0.548 1.722 3.680
Y 2.755 0.000 1.553
Y 6.537 0.000 3.680
Y 8.743 1.722 1.553
O 0.448 0.000 2.245
O 1.689 1.722 0.104
O 1.614 0.000 5.129
O 2.855 1.722 2.988
O 6.436 1.722 2.245
O 7.678 0.000 0.104
O 7.602 1.722 5.129
O 8.844 0.000 2.988

(4)
12
Lattice="3.427 0.000 0.000 -1.714 2.968 0.000 0.000 0.000 30.380" Properties=species:S:1:pos:R:3 comment="TmPu2Si PBE relaxed" total_energy_ev_per_atom=-9.56 dos_ef_per_ev_cell=41.04 pbc="T T T"
Tm 0.000 0.000 0.000
Tm 0.000 1.979 20.254
Tm 1.714 0.989 10.127
Pu 0.000 0.000 7.163
Pu 0.000 0.000 23.217
Pu 0.000 1.979 13.091
Pu 0.000 1.979 27.417
Pu 1.714 0.989 2.964
Pu 1.714 0.989 17.290
Si 0.000 0.000 15.190
Si 0.000 1.979 5.063
Si 1.714 0.989 25.317

(5)
5
Lattice="3.774 0.000 0.000 0.000 3.774 0.000 0.000 0.000 3.774" Properties=species:S:1:pos:R:3 comment="MnHgN3 PBE relaxed" total_energy_ev_per_atom=-5.62 dos_ef_per_ev_cell=6.25 pbc="T T T"
Mn 0.000 0.000 0.000
Hg 1.887 1.887 1.887
N 0.000 0.000 1.887
N 0.000 1.887 0.000
N 1.887 0.000 0.000

(6)
10
Lattice="3.982 0.000 0.000 0.000 3.982 0.000 0.000 0.000 14.538" Properties=species:S:1:pos:R:3 comment="DyPaCSe2 PBE relaxed" total_energy_ev_per_atom=-7.32 dos_ef_per_ev_cell=5.10 pbc="T T T"
Dy 0.995 0.995 1.778
Dy 2.986 2.986 12.760
Pa 0.995 0.995 8.448
Pa 2.986 2.986 6.090
C 0.995 2.986 7.269
C 2.986 0.995 7.269
Se 0.995 0.995 4.476
Se 0.995 0.995 13.221